by Kevin Alfred Strom
Attached: data records:
-- begin --
Entry 1:
Computed, not measured: a cluster of 4 separate species, C16H44N4O4 in total in a non-equilibrium geometry, with ωB97M-V/def2-TZVPD.

Each line ends with the Mulliken charge.
Element x y z (Å)
C1 4.795 -0.593 -11.815  -0.7181
O1 3.945 0.428 -11.484  -0.3379
C2 4.076 0.889 -10.117  -0.6168
C3 5.166 2.020 -10.045  0.4789
C4 5.509 2.450 -8.621  -1.4612
N1 4.579 3.186 -10.693  -0.7047
H1 4.795 -0.656 -12.903  0.2462
H2 4.261 -1.474 -11.459  0.2889
H3 5.828 -0.528 -11.473  0.3158
H4 3.086 1.265 -9.858  0.3067
H5 4.139 0.121 -9.346  0.3513
H6 5.938 1.809 -10.785  0.2947
H7 6.122 3.341 -8.485  0.4054
H8 6.091 1.686 -8.107  0.3548
H9 4.614 2.697 -8.049  0.2991
H10 4.399 3.039 -11.676  0.2631
H11 3.711 3.545 -10.321  0.2337
C5 -8.512 4.416 3.869  -0.7026
O2 -8.990 3.130 3.523  -0.3245
C6 -10.012 2.619 4.206  -0.6364
C7 -10.206 1.067 4.077  0.4098
C8 -10.480 0.681 2.628  -1.3897
N2 -11.347 0.451 4.764  -0.6563
H12 -7.434 4.552 3.785  0.2454
H13 -8.755 4.614 4.913  0.3107
H14 -8.996 5.218 3.311  0.2764
H15 -9.787 2.818 5.254  0.3651
H16 -10.914 3.164 3.925  0.2844
H17 -9.270 0.681 4.480  0.2497
H18 -9.729 1.145 1.988  0.3384
H19 -11.468 0.931 2.243  0.3617
H20 -10.377 -0.398 2.515  0.3617
H21 -11.481 1.004 5.599  0.2396
H22 -12.180 0.513 4.195  0.2665
C9 3.207 -5.327 4.142  -0.6639
O3 3.617 -4.211 4.790  -0.3053
C10 4.541 -4.343 5.812  -0.6460
C11 4.119 -5.196 7.104  0.2840
C12 2.826 -4.596 7.634  -1.1777
N3 5.055 -5.311 8.172  -0.6189
H23 2.301 -5.019 3.621  0.2193
H24 3.008 -6.161 4.815  0.2831
H25 3.932 -5.679 3.408  0.2997
H26 5.502 -4.655 5.403  0.3604
H27 4.716 -3.353 6.233  0.2347
H28 3.898 -6.228 6.833  0.2377
H29 3.041 -3.648 8.126  0.3738
H30 2.377 -5.288 8.347  0.3266
H31 2.165 -4.402 6.790  0.3210
H32 5.928 -5.769 7.951  0.2251
H33 5.122 -4.394 8.590  0.2461
C13 -1.195 1.922 0.841  -0.7580
O4 0.135 2.243 0.585  -0.2984
C14 0.904 1.331 -0.178  -0.6275
C15 2.448 1.717 -0.063  0.4407
C16 3.328 0.913 -1.071  -1.4320
N4 2.921 1.382 1.220  -0.7492
H34 -1.742 2.687 1.391  0.2611
H35 -1.236 1.049 1.493  0.3205
H36 -1.806 1.810 -0.054  0.2987
H37 0.666 0.334 0.194  0.3451
H38 0.711 1.292 -1.250  0.3000
H39 2.734 2.766 -0.145  0.2972
H40 2.984 1.150 -2.078  0.3692
H41 3.247 -0.174 -1.062  0.3204
H42 4.400 1.076 -0.964  0.3936
H43 2.682 0.420 1.414  0.2506
H44 2.349 1.831 1.920  0.2682

The HOMO energy comes out at -8.83 eV. Its energy above the lowest of the compared OMol25 structures with the same formula, charge and spin is 272.6 kJ/mol. The orbital gap is 9.601 eV. As for the SMILES: COC[C@H](C)N.COC[C@H](C)N.COC[C@H](C)N.COC[C@H](C)N.

Entry 2:
Computed, not measured: a cluster of 4 separate species, C16H44N4O4 in total in a non-equilibrium geometry, with ωB97M-V/def2-TZVPD.

Each line ends with the Mulliken charge.
Element x y z (Å)
C1 2.917 5.341 -4.724  -1.0662
C2 1.816 4.586 -3.896  0.0136
C3 2.353 4.439 -2.456  -0.4035
O1 3.548 3.671 -2.419  -0.2233
C4 4.062 3.507 -1.113  -0.5928
N1 0.502 5.210 -4.032  -0.5378
-- stop --
Back to the text:
I’VE MENTIONED ALTERNATIVE currencies — usually private efforts to help the local or national economy without resorting to debt, usurious interest, the banks, or the Fed — in a supportive way on this site before.
Recently I learned that the creators of some of the most interesting and successful alternative currencies — the Hawaiian Dala, the California Bear, the Chambersburg Dollar, the Evansville Dollar, the Liberty Dollar, the Peace Dollar, and the Ron Paul Dollar, among others — have been arrested by the FBI (for totally bogus charges under statutes intended to stop counterfeiting). They are Kevin Innes, Bernard von NotHaus, Sarah Bledsoe, and Rachelle Moseley.
For the “crime” of trying to create honest money to give people an alternative to the colossal confidence rackets called the Federal Reserve and the commercial banking system, these good people now find themselves facing the very real possibility of living the rest of their lives in a hellhole federal prison.

They deserve support. One thing even those of us living on a very low income might do is buy a quantity of their Peace Dollars (available in a low-cost copper version for those who can’t afford the silver ones) and spread them around your community. As their makers tell us, as a private currency these coins are good for peace and bad for war, since they can’t be used to fund the Iraq war — or any war, for that matter.
The Liberty Dollar folks weren’t trying to do anything illegal, and in fact kept the relevant authorities informed of what they were doing, even asking them for legal opinions — Claudia Dickens, spokeswoman for the U.S. Treasury Department’s Bureau of Engraving and Printing, said “There’s nothing illegal about this.” After the Treasury Department’s legal team reviewed the currency, she reiterated “As long as it doesn’t say ‘legal tender’ there’s nothing wrong with it.”

“It’s not counterfeit money,” according to Ron Legan, Special Agent in Charge of the Seattle, Washington, Secret Service field office. Amazingly, the Liberty Dollar folks find themselves charged under statutes intended to prevent counterfeiting — though they never made any claim that Liberty Dollars are government currency, and they do not even slightly resemble U.S. coins or bills. Logan investigated and concluded that the Liberty Dollars are well within the boundaries of American monetary guidelines. “We determined there wasn’t a federal currency violation,” he said. Apparently a rogue and politically-motivated element in the Department of Justice disagrees.

If we had an honest government, the best way to issue money and credit would be to issue it directly to the people (instead of allowing the banks or the government to create it for themselves) through a National Dividend. Clifford Hugh Douglas wrote of the idea in his groundbreaking work Social Credit. But absent honest bankers or honest politicians, private labor-based or asset-based currencies are excellent alternatives.
There was nothing fraudulent or criminal about Liberty Dollars or Peace Dollars or Hawaiian Dalas, or their creators. How many other banks or governments — or currency issuers of any kind — offer to give you more dollars whenever necessary so that the value of your money, measured in silver, will always stay the same? That’s exactly what the Liberty Dollar folks do.
It is the ultimate expression of hypocrisy for the master-counterfeiters of the world, and the flagrant debasers of the dollar (now worth less than 4 cents in real terms) to place these good people under arrest and indictment.
Get your Peace Dollars from libertydollar.org today!